支配集的定义如下:给定无向图G =(V , E),其中V是点集, E是边集, 称V的一个子集S称为支配集当且仅当对于V-S中任何一个点v, 都有S中的某个点u, 使得(u, v) ∈E。对于图G = (V, E) 来说,最小支配集指的是从 V 中取尽量少的点组成一个集合, 使得 V 中剩余的点都与取出来的点有边相连.也就是说,设 V' 是图的一个支配集,则对于图中的任意一个顶点 u ,要么属于集合 V', 要么与 V' 中的顶点相邻. 在 V' 中除去任何元素后 V' 不再是支配集, 则支配集 V' 是极小支配集.称G 的所有支配集中顶点个数最少的支配集为最小支配集,最小支配集中的顶点个数称为支配数.
最小支配集(minimal dominating set):对于图G=(V,E)来说,设V'是图G的一个支配集,则对于图中的任意一个顶点u,要么属于集合V',要么与V'中的顶点相连。在V'中除去任何元素后V'不再是支配集,则支配集V'是极小支配集。称G中所有支配集中顶点个数最少的支配集为最小支配集,最小支配集中的顶点个数称为支配数。
- tempall=1;
- temp_self=Neighbor_hop2(:,:,1)*0;%2 hop's information
- for i=1:Node_Num
- if Color_N(i,1)==4||Color_N(i,1)==2
Inserted here: data records
┌──
CsPu2Cl7: optimized geometry, GGA-PBE.

Output
uncorrected formation energy = -44.862 kcal/mol of atoms

extended XYZ file:
```
10
Lattice="4.337 -7.113 0.000 4.337 7.113 0.000 0.000 0.000 5.431" Properties=species:S:1:pos:R:3 pbc="T T T"
Cs 0.000 0.000 0.000
Pu 4.337 2.752 2.716
Pu 4.337 -2.752 2.716
Cl 1.622 2.027 2.716
Cl 4.337 2.858 0.000
Cl 1.622 -2.027 2.716
Cl 4.337 0.000 2.716
Cl 7.052 2.027 2.716
Cl 4.337 -2.858 0.000
Cl 7.052 -2.027 2.716
```
└──
The article goes on
- temp_self=temp_self*0;%2 hop's information
- %node i formulation the 2_hop connected graph
- for n=1:d1(i,1)
- temp2=d1(d1(i,n+1),1);
- temp_count=1;
- state=1;
- for m=2:temp2+1
- temp_self(n,1)=d1(i,n+1);
- temp=Neighbor_hop2(n,m,i);
- state=1;
- for p=1:d1(i,1)
- if temp==i
- state=0;
- break;
- elseif temp==d1(i,p+1)
- state=0;
- break;
- end
- end
- if state==1
- temp_count=temp_count+1;
- temp_self(n,temp_count)=temp;
- end
- end
- end
- %%
- %chose some node in two_hops of node i to connect the2_hop's dominating nodes
- Already_handle=zeros(Max_Degree*Max_Degree,1);
- Already_handle_result=Already_handle;
- handle_count=0;
- for n=1:d1(i,1)
- if temp_self(n,1)==0;
- break;
-- begin --
Record 1
Below is a crystal of CdSe2Cl relaxed with PBEsol, with properties calculated at the meta-GGA SCAN level.

Unit cell a=3.010 b=3.010 c=10.630 alpha=81.86 beta=81.86 gamma=60.00
Positions (direct):
Cl 0.500 0.500 0.500
Se 0.083 0.083 0.752
Cd 0.000 0.000 0.000
Se 0.917 0.917 0.248

Properties
Formation energy (no corrections) ... 360 meV/atom

---

Record 2
Below is a crystal of CdSe2Cl relaxed with PBEsol, with properties calculated at the meta-GGA SCAN level.

Unit cell a=3.048 b=5.164 c=5.164 alpha=90.00 beta=90.00 gamma=90.00
Positions (direct):
Cd 0.500 0.500 0.500
Se 0.000 0.000 0.500
Se 0.000 0.500 0.000
Cl 0.500 0.000 0.000

Properties
Formation energy (no corrections) ... 321 meV/atom

---

Record 3
Below is a crystal of CdSe2Cl relaxed with PBEsol, with properties calculated at the meta-GGA SCAN level.

Unit cell a=4.010 b=4.010 c=6.870 alpha=73.03 beta=73.03 gamma=60.00
Positions (direct):
Cd 0.500 0.500 0.500
Se 0.761 0.761 0.716
Cl 0.000 0.000 0.000
Se 0.239 0.239 0.284

Properties
Formation energy (no corrections) ... 50 meV/atom

---

Record 4
Below is a crystal of CdSiCl2 relaxed with PBEsol, with properties calculated at the meta-GGA SCAN level.

Unit cell a=3.623 b=3.623 c=9.384 alpha=78.87 beta=78.87 gamma=60.00
Positions (direct):
Cl 0.778 0.778 0.667
Cd 0.000 0.000 0.000
Cl 0.222 0.222 0.333
Si 0.500 0.500 0.500

Properties
Formation energy (no corrections) ... -146 meV/atom

---

Q: Look up the formation energy (no corrections) of the fourth one.
A: -146 meV/atom

=====

Below is a relaxed structure of Tb2Ho6Zn, with properties calculated at the PBE level.

Cell lengths 5.3282, 9.8259, 10.0993 Å; angles 90.00, 89.97, 90.00 degrees
Positions (direct):
1 Ho 0.0000 0.9740 0.8142
2 Ho 0.4998 0.1300 0.6109
3 Ho 0.0002 0.6300 0.8891
4 Ho 0.0004 0.6861 0.5610
5 Ho 0.9996 0.3139 0.4390
6 Ho 0.9998 0.3700 0.1109
7 Ho 0.5004 0.8139 0.0610
8 Ho 0.5000 0.5260 0.3142
9 Ho 0.4996 0.1861 0.9390
10 Ho 0.5002 0.8700 0.3891
11 Ho 0.5000 0.4740 0.6858
12 Ho 0.0000 0.0260 0.1858
13 Tb 0.5002 0.8003 0.7351
14 Tb 0.4998 0.1997 0.2649
15 Tb 0.0002 0.6997 0.2351
16 Tb 0.9998 0.3003 0.7649
17 Zn 0.0000 0.0000 0.5000
18 Zn 0.5000 0.5000 0.0000

Results
Calculated formation energy, meV/atom: 28
Space-group type: Pnnm
DOS(E_F), states/eV/cell: 27.75
Calculated volume, Å³/cell: 528.7

=====

InFeMo2: relaxed, PBE-GGA.

Results
* formation enthalpy at 0 K: 0.41 eV/atom
* calculated total energy: -7.810 eV/atom
* D(E_F): 2.7 states/eV/cell

Lattice parameters (Å, degrees): 5.125 5.125 2.751 90.00 90.00 116.63
Last column: magnetic moment on the atom in μB.
Element x y z (fractional)
Fe  0.500  0.000  0.500  2.56
In  0.000  0.500  0.500  -0.01
Mo  0.000  0.000  0.000  -0.01
Mo  0.500  0.500  0.000  -0.01



InFeMo: relaxed, PBE-GGA.

Results
* formation enthalpy at 0 K: 0.37 eV/atom
* calculated total energy: -6.972 eV/atom
* offset from the most stable computed form: 3.68 kcal/mol of atoms
* D(E_F): 2.7 states/eV/cell
-- stop --
- end
- for m=2:Max_Degree+1
- if temp_self(n,m)==0
- break;
- end
- if Color_N(temp_self(n,m),1)==4||Color_N(temp_self(n,m),1)==2
- state=0;
- for p=1:handle_count
- if Already_handle(p,1)==temp_self(n,m)
- state=1;
- if Already_handle_result(p,1)==0
- break;
- else
- if Color_N(temp_self(n,1))==2||Color_N(temp_self(n,1))==4
- Already_handle_result(p,1)=0;
- break;
- elseif d1(temp_self(n,1),1)>d1(Already_handle_result(p,1),1)
- Already_handle_result(p,1)=temp_self(n,1);
- elseif d1(temp_self(n,1),1)==d1(Already_handle_result(p,1),1)
- if temp_self(n:1)
- Already_handle_result(p,1)=temp_self(n,1);
- end
- end
- end
- end
- end
- if state==0;
- if Color_N(temp_self(n,1))==2||Color_N(temp_self(n,1))==4
- Already_handle(handle_count+1,1)=temp_self(n,m);
- Already_handle_result(handle_count+1,1)=0;
- handle_count=handle_count+1;
- else
- Already_handle(handle_count+1,1)=temp_self(n,m);
- Already_handle_result(handle_count+1,1)=temp_self(n,1);
- handle_count=handle_count+1;
- end
- end
- end
- end
- end
- for n=1:handle_count
- if Already_handle_result(n,1)==0
- else
- Color_N(Already_handle_result(n,1))=6;
- temp1=Already_handle_result(n,1);
- temp2=Already_handle(n,1);
- plot([Posxy(i,1),Posxy(temp1,1)],[Posxy(i,2),Posxy(temp1,2)],'o-.c')
- plot([Posxy(temp2,1),Posxy(temp1,1)],[Posxy(temp2,2),Posxy(temp1,2)],'o-.c')
- end
- end
- %%
- %node i formulation the 3_hop connected graph
- Already_handle2=zeros(Max_Degree*Max_Degree*Max_Degree,1);
- handle_count2=0;
- Already_handle2_reult=zeros(Max_Degree*Max_Degree*Max_Degree,2);
- for n=1:d1(i,1)
- if temp_self(n,1)==0;
- break;
- end
- for m=2:Max_Degree+1
- if temp_self(n,m)==0
- break;
- end
- for p=1:d1(temp_self(n,m),1)
- temp_node=d1(temp_self(n,m),p+1);
- if Color_N(temp_node)==2||Color_N(temp_node)==4
- state_in=0;
- % it is one of 2hops neighboor of nod i if state_in==1;
- for n2=1:d1(i,1)
- if temp_self(n2,1)==0
- break;
- end
- if temp_self(n2,1)==temp_node
- state_in=1;
- break;
- end
- for m2=2:Max_Degree+1
- if temp_self(n2,m2)==0
- break;
- end
- if temp_self(n2,m2)==temp_node
- state_in=1;
- break;
- end
- end
- if state_in==1
- break;
- end
- end
- % it is one of 2hops neighboor of nod i if
- % state_in==0, then we get the rout from there.
- if state_in==0
- state_in2=0;
- for q=1:handle_count2
- if temp_node==Already_handle2(q,1)
- state_in2=1;
- temp1=Already_handle2_reult(q,1);
- temp2=Already_handle2_reult(q,2);
- temp3=temp_self(n,1);
- temp4=temp_self(n,m);
- if temp1==0
- break;
- %do nothing
- else
- if Color_N(temp3,1)==2||Color_N(temp3,1)==4||Color_N(temp4,1)==2||Color_N(temp4,1)==4
- Already_handle2_reult(q,1)=0;
- Already_handle2_reult(q,2)=0;
- else
- a=d1(temp3,1)+d1(temp4,1);
- b=d1(temp1,1)+d1(temp2,1);
- if a>b
- Already_handle2_reult(q,1)=temp3;
- Already_handle2_reult(q,2)=temp4;
- elseif a==b
- if temp3+temp4
- Already_handle2_reult(q,1)=temp3;
- Already_handle2_reult(q,2)=temp4;
- else
- %do nothing
- end
- end
- end
- end
- end
- if state_in2==1
- break;
- end
- end
- if state_in2==0;
- handle_count2=handle_count2+1;
- Already_handle2(handle_count2,1)=temp_node;
- temp1=temp_self(n,1);
- temp2=temp_self(n,m);
- if Color_N(temp1,1)==2||Color_N(temp1,1)==4||Color_N(temp2,1)==2||Color_N(temp2,1)==4
- Already_handle2_reult(handle_count2,1)=0;
- Already_handle2_reult(handle_count2,2)=0;
- else
- Already_handle2_reult(handle_count2,1)=temp_self(n,1);
- Already_handle2_reult(handle_count2,2)=temp_self(n,m);
- end
- end
- end
- end
- end
- end
- end
- for n=1:handle_count2
- if Already_handle2_reult(n,1)==0
- else
- Color_N(Already_handle2_reult(n,1),1)=7;
_Unrelated to this piece: data records_
+++
The following is a DFT calculation (PBE) of LiNiAgBi after structural relaxation.

Cell: 4.5903 4.5903 4.5903 Å, 60.00 60.00 60.00°
Last column: nearest neighbours and their distance in Å.
Atoms (fractional coordinates):
Ni  0.5000  0.5000  0.5000  4 Ag 2.81, 4 Bi 2.81
Bi  0.7500  0.7500  0.7500  4 Li 2.81, 4 Ni 2.81
Ag  0.2500  0.2500  0.2500  4 Li 2.81, 4 Ni 2.81
Li  0.0000  0.0000  0.0000  4 Bi 2.81, 4 Ag 2.81

Results
Final energy in eV/atom: -3.71
Symmetry: F-43m

=====

*1*
# ZrSiS2Cl

An optimized crystal structure of ZrSiS2Cl (PBE, the Alexandria database).

```
ZrSiS2Cl
1.0
5.011 0.000 0.000
0.000 5.011 0.000
0.000 0.000 4.958
Zr Si S Cl
1 1 2 1
Direct
0.000 0.000 0.000
0.500 0.500 0.500
0.000 0.500 0.000
0.500 0.000 0.000
0.000 0.000 0.500
```

*2*
# ZrSiS2Cl

An optimized crystal structure of ZrSiS2Cl (PBE, the Alexandria database).

```
ZrSiS2Cl
1.0
4.625 0.000 0.000
0.000 4.625 0.000
0.000 0.000 4.502
Zr Si S Cl
1 1 2 1
Direct
0.000 0.000 0.000
0.500 0.500 0.500
0.000 0.500 0.500
0.500 0.000 0.500
0.500 0.500 0.000
```

In order of decreasing stability: *1*, *2*.

*1*
# ZrSiSCl2

An optimized crystal structure of ZrSiSCl2 (PBE, the Alexandria database).

```
ZrSiSCl2
1.0
5.032 0.000 0.000
0.000 5.032 0.000
0.000 0.000 5.043
Zr Si S Cl
1 1 1 2
Direct
0.000 0.000 0.000
0.500 0.500 0.500
0.000 0.000 0.500
0.000 0.500 0.000
0.500 0.000 0.000
```

*2*
# ZrSiSCl2

An optimized crystal structure of ZrSiSCl2 (PBE, the Alexandria database).

```
ZrSiSCl2
1.0
4.688 0.000 0.000
0.000 4.688 0.000
0.000 0.000 4.886
Zr Si S Cl
1 1 1 2
Direct
0.000 0.000 0.000
0.500 0.500 0.500
0.500 0.500 0.000
0.000 0.500 0.500
0.500 0.000 0.500
```

In order of decreasing stability: *1*, *2*.

*1*
# SnS3Cl

An optimized crystal structure of SnS3Cl (PBE, the Alexandria database).

```
SnS3Cl
1.0
5.066 0.000 0.000
0.000 5.066 0.000
0.000 0.000 5.066
Sn S Cl
1 3 1
Direct
0.000 0.000 0.000
0.000 0.000 0.500
0.000 0.500 0.000
0.500 0.000 0.000
0.500 0.500 0.500
```

*2*
# SnS3Cl

An optimized crystal structure of SnS3Cl (PBE, the Alexandria database).

```
SnS3Cl
1.0
4.760 0.000 0.000
0.000 4.760 0.000
0.000 0.000 4.760
Sn S Cl
1 3 1
Direct
0.000 0.000 0.000
0.000 0.500 0.500
0.500 0.000 0.500
0.500 0.500 0.000
0.500 0.500 0.500
```

In order of decreasing stability: *1*, *2*.

*1*
# Sn2SCl2

An optimized crystal structure of Sn2SCl2 (PBE, the Alexandria database).

```
Sn2SCl2
1.0
7.550 0.000 0.000
0.000 7.550 0.000
0.000 0.000 4.484
Sn S Cl
4 2 4
Direct
0.179 0.321 0.000
0.321 0.821 0.000
0.679 0.179 0.000
0.821 0.679 0.000
0.000 0.000 0.000
0.500 0.500 0.000
0.163 0.663 0.500
0.337 0.163 0.500
0.663 0.837 0.500
0.837 0.337 0.500
```

*2*
# Sn2SCl2

An optimized crystal structure of Sn2SCl2 (PBE, the Alexandria database).

```
Sn2SCl2
1.0
5.522 0.000 0.000
0.000 4.011 0.000
-2.562 0.000 15.890
Sn S Cl
4 2 4
Direct
0.163 0.250 0.091
0.211 0.250 0.613
0.789 0.750 0.387
0.837 0.750 0.909
0.158 0.250 0.928
0.842 0.750 0.072
0.062 0.750 0.704
0.232 0.750 0.470
+++
- Color_N(Already_handle2_reult(n,2),1)=7;
- temp1=Already_handle2_reult(n,1);
- temp2=Already_handle2_reult(n,2);
- temp3=Already_handle2(n,1);
- plot([Posxy(i,1),Posxy(temp1,1)],[Posxy(i,2),Posxy(temp1,2)],'o-.b')
- plot([Posxy(temp2,1),Posxy(temp1,1)],[Posxy(temp2,2),Posxy(temp1,2)],'o-.b')
- plot([Posxy(temp2,1),Posxy(temp3,1)],[Posxy(temp2,2),Posxy(temp3,2)],'o-.b')
- end
- end
- end
- end
- A_037